# Source
........
Arrangement P

{
  "formula": "Ti3Bi4O12",
  "functional": "GGA-PBE",
  "state": "relaxed",
  "crystal_system": "orthorhombic",
  "spacegroup": "Aea2, No. 41",
  "piezo_max_c_m2": 6.081,
  "cell": [[2.7680, -16.7079, 0.0000], [2.7680, 16.7079, 0.0000], [0.0000, 0.0000, 5.4704]],
  "species": ["Bi", "Bi", "O", "Ti", "Ti", "Bi", "O", "O", "O", "O", "O", "O", "O", "O", "O", "O", "Ti", "Ti", "O", "Ti", "O", "O", "O", "O", "Bi", "Ti", "Bi", "O", "O", "O", "Bi", "O", "O", "Bi", "O", "Bi", "O", "O"],
  "fractional_positions": [[0.4372, 0.5691, 0.5030], [0.3198, 0.7428, 0.5252], [0.6853, 0.6649, 0.2529], [0.3271, 0.5815, 0.0034], [0.0815, 0.8271, 0.5034], [0.0691, 0.9372, 0.0030], [0.3162, 0.0979, 0.2767], [0.9665, 0.8506, 0.5765], [0.8506, 0.9665, 0.4235], [0.7656, 0.1241, 0.5642], [0.2656, 0.6241, 0.9358], [0.0081, 0.5065, 0.2411], [0.1853, 0.1649, 0.2471], [0.4665, 0.3506, 0.9235], [0.6649, 0.6853, 0.7471], [0.0065, 0.5081, 0.7411], [0.8271, 0.0815, 0.4966], [0.4611, 0.4611, 0.0000], [0.5081, 0.0065, 0.2589], [0.9611, 0.9611, 0.5000], [0.6241, 0.2656, 0.0642], [0.0170, 0.2648, 0.2034], [0.2648, 0.0170, 0.7966], [0.8162, 0.5979, 0.2233], [0.2428, 0.8198, 0.0252], [0.5815, 0.3271, 0.9966], [0.5691, 0.4372, 0.4970], [0.1241, 0.7656, 0.4358], [0.5979, 0.8162, 0.7767], [0.5170, 0.7648, 0.2966], [0.9372, 0.0691, 0.9970], [0.1649, 0.1853, 0.7529], [0.7648, 0.5170, 0.7034], [0.7428, 0.3198, 0.4748], [0.0979, 0.3162, 0.7233], [0.8198, 0.2428, 0.9748], [0.3506, 0.4665, 0.0765], [0.5065, 0.0081, 0.7589]]
}

Arrangement Q

{
  "formula": "Ti3Bi4O12",
  "functional": "GGA-PBE",
  "state": "relaxed",
  "crystal_system": "monoclinic",
  "spacegroup": "C2/m, No. 12",
  "magmom_total_mub_per_fu": 0.00,
  "cell": [[-1.5720, -3.0729, 1.7384], [3.4918, -1.5391, 0.6119], [1.7272, 5.9168, 15.8206]],
  "species": ["Bi", "Ti", "Ti", "Bi", "O", "O", "O", "O", "Bi", "O", "O", "Ti", "O", "O", "O", "O", "O", "Bi", "O"],
  "fractional_positions": [[0.2222, 0.2222, 0.5765], [0.3647, 0.3647, 0.2570], [0.6353, 0.6353, 0.7430], [0.8604, 0.8604, 0.1325], [0.8933, 0.4109, 0.2326], [0.5350, 0.5350, 0.8815], [0.5000, 0.0000, 0.0000], [0.2497, 0.7503, 0.5000], [0.7778, 0.7778, 0.4235], [0.0000, 0.5000, 0.0000], [0.3229, 0.3229, 0.3633], [0.5000, 0.5000, 0.0000], [0.1067, 0.5891, 0.7674], [0.7503, 0.2497, 0.5000], [0.4109, 0.8933, 0.2326], [0.4650, 0.4650, 0.1185], [0.5891, 0.1067, 0.7674], [0.1396, 0.1396, 0.8675], [0.6771, 0.6771, 0.6367]]
}

Arrangement R

{
  "formula": "Ti3Bi4O12",
  "functional": "GGA-PBE",
  "state": "relaxed",
  "crystal_system": "tetragonal",
  "spacegroup": "I4/mmm, No. 139",
  "magmom_total_mub_per_fu": 0.00,
  "cell": [[-14.6010, -7.3516, -4.0480], [-16.3152, -2.2274, -3.5316], [15.9679, 5.2251, 1.1600]],
  "species": ["O", "O", "O", "Bi", "Ti", "Ti", "Bi", "O", "O", "Bi", "O", "Bi", "O", "O", "O", "Ti", "O", "O", "O"],
  "fractional_positions": [[0.8846, 0.3846, 0.5000], [0.2500, 0.7500, 0.5000], [0.6154, 0.1154, 0.5000], [0.2113, 0.2113, 0.0000], [0.5000, 0.5000, 0.0000], [0.6278, 0.6278, 0.0000], [0.0666, 0.0666, 0.0000], [0.3182, 0.3182, 0.0000], [0.5596, 0.5596, 0.0000], [0.9334, 0.9334, 0.0000], [0.7500, 0.2500, 0.5000], [0.7887, 0.7887, 0.0000], [0.4404, 0.4404, 0.0000], [0.0000, 0.5000, 0.5000], [0.1154, 0.6154, 0.5000], [0.3722, 0.3722, 0.0000], [0.6818, 0.6818, 0.0000], [0.5000, 0.0000, 0.5000], [0.3846, 0.8846, 0.5000]]
}

Relative energy table, unit kJ/mol of atoms: arrangement P 0.0; arrangement Q 3.3; arrangement R 5.6

Arrangement P

{
  "formula": "Ti2Bi2O7",
  "functional": "GGA-PBE",
  "state": "relaxed",
  "crystal_system": "orthorhombic",
  "spacegroup": "Pna2_1, No. 33",
  "cell": [[-6.9111, -1.9988, -1.8454], [1.4641, -7.0016, 2.1005], [-3.2527, 2.2449, 9.7502]],
  "species": ["O", "O", "O", "Bi", "O", "O", "Ti", "O", "O", "O", "O", "O", "Ti", "Bi", "O", "Bi", "O", "Ti", "O", "O", "Ti", "Ti", "O", "Bi", "Ti", "Bi", "O", "Bi", "O", "O", "O", "O", "O", "Ti", "O", "Bi", "O", "O", "O", "O", "Bi", "O", "Ti", "O"],
........
# Brief
Start at the top of the data further up and write out each line, ending with the one that has "-2.2274, -3.5316],".
# Here it is
Arrangement P

{
  "formula": "Ti3Bi4O12",
  "functional": "GGA-PBE",
  "state": "relaxed",
  "crystal_system": "orthorhombic",
  "spacegroup": "Aea2, No. 41",
  "piezo_max_c_m2": 6.081,
  "cell": [[2.7680, -16.7079, 0.0000], [2.7680, 16.7079, 0.0000], [0.0000, 0.0000, 5.4704]],
  "species": ["Bi", "Bi", "O", "Ti", "Ti", "Bi", "O", "O", "O", "O", "O", "O", "O", "O", "O", "O", "Ti", "Ti", "O", "Ti", "O", "O", "O", "O", "Bi", "Ti", "Bi", "O", "O", "O", "Bi", "O", "O", "Bi", "O", "Bi", "O", "O"],
  "fractional_positions": [[0.4372, 0.5691, 0.5030], [0.3198, 0.7428, 0.5252], [0.6853, 0.6649, 0.2529], [0.3271, 0.5815, 0.0034], [0.0815, 0.8271, 0.5034], [0.0691, 0.9372, 0.0030], [0.3162, 0.0979, 0.2767], [0.9665, 0.8506, 0.5765], [0.8506, 0.9665, 0.4235], [0.7656, 0.1241, 0.5642], [0.2656, 0.6241, 0.9358], [0.0081, 0.5065, 0.2411], [0.1853, 0.1649, 0.2471], [0.4665, 0.3506, 0.9235], [0.6649, 0.6853, 0.7471], [0.0065, 0.5081, 0.7411], [0.8271, 0.0815, 0.4966], [0.4611, 0.4611, 0.0000], [0.5081, 0.0065, 0.2589], [0.9611, 0.9611, 0.5000], [0.6241, 0.2656, 0.0642], [0.0170, 0.2648, 0.2034], [0.2648, 0.0170, 0.7966], [0.8162, 0.5979, 0.2233], [0.2428, 0.8198, 0.0252], [0.5815, 0.3271, 0.9966], [0.5691, 0.4372, 0.4970], [0.1241, 0.7656, 0.4358], [0.5979, 0.8162, 0.7767], [0.5170, 0.7648, 0.2966], [0.9372, 0.0691, 0.9970], [0.1649, 0.1853, 0.7529], [0.7648, 0.5170, 0.7034], [0.7428, 0.3198, 0.4748], [0.0979, 0.3162, 0.7233], [0.8198, 0.2428, 0.9748], [0.3506, 0.4665, 0.0765], [0.5065, 0.0081, 0.7589]]
}

Arrangement Q

{
  "formula": "Ti3Bi4O12",
  "functional": "GGA-PBE",
  "state": "relaxed",
  "crystal_system": "monoclinic",
  "spacegroup": "C2/m, No. 12",
  "magmom_total_mub_per_fu": 0.00,
  "cell": [[-1.5720, -3.0729, 1.7384], [3.4918, -1.5391, 0.6119], [1.7272, 5.9168, 15.8206]],
  "species": ["Bi", "Ti", "Ti", "Bi", "O", "O", "O", "O", "Bi", "O", "O", "Ti", "O", "O", "O", "O", "O", "Bi", "O"],
  "fractional_positions": [[0.2222, 0.2222, 0.5765], [0.3647, 0.3647, 0.2570], [0.6353, 0.6353, 0.7430], [0.8604, 0.8604, 0.1325], [0.8933, 0.4109, 0.2326], [0.5350, 0.5350, 0.8815], [0.5000, 0.0000, 0.0000], [0.2497, 0.7503, 0.5000], [0.7778, 0.7778, 0.4235], [0.0000, 0.5000, 0.0000], [0.3229, 0.3229, 0.3633], [0.5000, 0.5000, 0.0000], [0.1067, 0.5891, 0.7674], [0.7503, 0.2497, 0.5000], [0.4109, 0.8933, 0.2326], [0.4650, 0.4650, 0.1185], [0.5891, 0.1067, 0.7674], [0.1396, 0.1396, 0.8675], [0.6771, 0.6771, 0.6367]]
}

Arrangement R

{
  "formula": "Ti3Bi4O12",
  "functional": "GGA-PBE",
  "state": "relaxed",
  "crystal_system": "tetragonal",
  "spacegroup": "I4/mmm, No. 139",
  "magmom_total_mub_per_fu": 0.00,
  "cell": [[-14.6010, -7.3516, -4.0480], [-16.3152, -2.2274, -3.5316], [15.9679, 5.2251, 1.1600]],